Listing
- - -
Starting from a crystal structure in Alexandria, relaxed with GGA-PBE, the powder X-ray diffraction pattern of BaAlTl was computed for copper Kα.
Neutral-atom scattering factors, no anomalous dispersion.

Largest 12 diffraction maxima, in order of rising 2θ, 2θ = 10–90°:
hkl	2theta	d_spacing	intensity
0 2 1	19.33	4.591	22
1 1 0	20.58	4.317	76
0 0 2	27.54	3.238	50
1 3 0	28.34	3.149	32
0 4 1	30.75	2.908	65
1 3 1	31.59	2.832	100
1 1 2	34.63	2.590	70
2 0 0	39.39	2.288	27
2 0 2	48.73	1.869	23
2 4 1	50.77	1.798	48
1 3 3	51.31	1.781	26
1 7 1	55.16	1.665	23

Crystal structure
Cell lengths 4.5754, 13.0197, 6.4767 Å; angles 90.00, 90.00, 90.00 degrees
Space group Cmcm (No. 63)
Unique sites:
Ba 0.0000 0.1913 0.2500
Al 0.0000 0.5000 0.0000
Tl 0.0000 0.0918 0.7500

* * * * *

Li2CrH4O6: theoretical powder diffraction line list (Cu Kα), based on a structure optimized by DFT (PBE+U).
Peak positions follow from Bragg's law for the DFT cell and can differ from measured ones.

Most intense lines, 2θ = 10–90°, sorted by position:
Position (°2θ), I (rel.), index
13.51, 36, 0 1 1
18.54, 93, 0 1 2
19.52, 69, 1 1 0
20.86, 71, 1 1 1
21.59, 100, 1 0 2
24.01, 49, 0 2 1
24.80, 53, 0 1 3
27.91, 59, 1 2 0
28.88, 82, 1 2 1
29.44, 57, 0 0 4
31.94, 80, 2 0 0
35.80, 30, 1 2 3

Cell and atoms:
Cell: 5.603 7.785 12.135 Å, 90.00 90.00 90.00°
Atoms (fractional coordinates):
Li1 0.080 0.204 0.001
Li2 0.177 0.138 0.372
Li3 0.323 0.862 0.872
Li4 0.420 0.796 0.501
Li5 0.580 0.296 0.999
Li6 0.677 0.362 0.628
Li7 0.823 0.638 0.128
Li8 0.920 0.704 0.499
Cr1 0.176 0.118 0.635
Cr2 0.324 0.882 0.135
Cr3 0.676 0.382 0.365
Cr4 0.824 0.618 0.865
H1 0.165 0.715 0.314
H2 0.175 0.671 0.688
H3 0.239 0.515 0.614
H4 0.247 0.549 0.374
H5 0.253 0.451 0.874
H6 0.261 0.485 0.114
H7 0.325 0.329 0.188
H8 0.335 0.285 0.814
H9 0.665 0.785 0.686
H10 0.675 0.829 0.312
H11 0.739 0.985 0.386
H12 0.747 0.951 0.626
- - -

Wanted
Retype the block earlier on from the line with "Peak positions" to the end unchanged.

Here it is
Peak positions follow from Bragg's law for the DFT cell and can differ from measured ones.

Most intense lines, 2θ = 10–90°, sorted by position:
Position (°2θ), I (rel.), index
13.51, 36, 0 1 1
18.54, 93, 0 1 2
19.52, 69, 1 1 0
20.86, 71, 1 1 1
21.59, 100, 1 0 2
24.01, 49, 0 2 1
24.80, 53, 0 1 3
27.91, 59, 1 2 0
28.88, 82, 1 2 1
29.44, 57, 0 0 4
31.94, 80, 2 0 0
35.80, 30, 1 2 3

Cell and atoms:
Cell: 5.603 7.785 12.135 Å, 90.00 90.00 90.00°
Atoms (fractional coordinates):
Li1 0.080 0.204 0.001
Li2 0.177 0.138 0.372
Li3 0.323 0.862 0.872
Li4 0.420 0.796 0.501
Li5 0.580 0.296 0.999
Li6 0.677 0.362 0.628
Li7 0.823 0.638 0.128
Li8 0.920 0.704 0.499
Cr1 0.176 0.118 0.635
Cr2 0.324 0.882 0.135
Cr3 0.676 0.382 0.365
Cr4 0.824 0.618 0.865
H1 0.165 0.715 0.314
H2 0.175 0.671 0.688
H3 0.239 0.515 0.614
H4 0.247 0.549 0.374
H5 0.253 0.451 0.874
H6 0.261 0.485 0.114
H7 0.325 0.329 0.188
H8 0.335 0.285 0.814
H9 0.665 0.785 0.686
H10 0.675 0.829 0.312
H11 0.739 0.985 0.386
H12 0.747 0.951 0.626